Could you write out the whole of the block below word for word?

____________
Entry 1:
A geometry-optimized HoEr2Mg3Ir2Pt structure, computed with PBE.

abc: 4.022 7.284 7.284
angles: 120.00 90.00 90.00
Atoms (fractional coordinates):
1 Er 0.000 0.413 0.000
2 Er 0.000 0.000 0.413
3 Ho 0.000 0.587 0.587
4 Ir 0.500 0.667 0.333
5 Ir 0.500 0.333 0.667
6 Mg 0.500 0.753 0.000
7 Mg 0.500 0.247 0.247
8 Mg 0.500 0.000 0.753
9 Pt 0.000 0.000 0.000

Properties
The space group is No. 38. Its final energy is -5.48 eV per atom.

Entry 2:
A geometry-optimized TbInTc structure, computed with PBE.

abc: 4.707 4.707 4.707
angles: 60.00 60.00 60.00
Atoms (fractional coordinates):
1 In 0.000 0.000 0.000
2 Tb 0.250 0.250 0.250
3 Tc 0.750 0.750 0.750

Properties
The space group is No. 216. Its final energy is -5.41 eV per atom.

Entry 3:
A geometry-optimized TmUBe structure, computed with PBE.

abc: 4.576 4.576 4.576
angles: 60.00 60.00 60.00
Atoms (fractional coordinates):
1 Be 0.000 0.000 0.000
2 Tm 0.250 0.250 0.250
3 U 0.750 0.750 0.750

Properties
The space group is No. 216. As for the energy above the lowest structure with this stoichiometry: 0 meV/atom.

Entry 4:
A geometry-optimized BaTbB structure, computed with PBE.

abc: 4.836 4.836 4.836
angles: 60.00 60.00 60.00
Atoms (fractional coordinates):
1 B 0.250 0.250 0.250
2 Ba 0.000 0.000 0.000
3 Tb 0.750 0.750 0.750

Properties
The space group is No. 216. As for the energy above the lowest structure with this stoichiometry: 810 meV/atom.

Please write out number 4 again, unchanged.
A geometry-optimized BaTbB structure, computed with PBE.

abc: 4.836 4.836 4.836
angles: 60.00 60.00 60.00
Atoms (fractional coordinates):
1 B 0.250 0.250 0.250
2 Ba 0.000 0.000 0.000
3 Tb 0.750 0.750 0.750

Properties
The space group is No. 216. As for the energy above the lowest structure with this stoichiometry: 810 meV/atom.

----------

VASP calculation (PBE) on an optimized crystal structure of RbCdHg2Sb.

Values from the calculation:
Energy above the most stable polymorph in this dataset   148 meV per atom
Raw formation energy   -43 meV per atom

Unit cell a=5.7759 b=5.7759 c=5.6640 alpha=90.00 beta=90.00 gamma=90.00
Closest atoms and distances in Å follow each position.
Space group P4/mmm (No. 123)
Inequivalent atoms, fractional coordinates:
Rb1 0.0000 0.0000 0.0000 [1 per cell]  8 Hg 4.04, 4 Sb 4.08
Cd1 0.5000 0.5000 0.5000 [1 per cell]  2 Sb 2.83, 4 Hg 2.89
Hg1 0.0000 0.5000 0.5000 [2 per cell]  2 Cd 2.89
Sb1 0.5000 0.5000 0.0000 [1 per cell]  2 Cd 2.83

***

VASP calculation (PBE) on an optimized crystal structure of RbCdHg2Sb.

Values from the calculation:
Energy above the most stable polymorph in this dataset   0 meV per atom
Raw formation energy   -191 meV per atom

Unit cell a=4.9422 b=4.9893 c=12.7804 alpha=90.00 beta=90.00 gamma=90.00
Closest atoms and distances in Å follow each position.
Space group Imm2 (No. 44)
Inequivalent atoms, fractional coordinates:
Rb1 0.0000 0.0000 0.0000 [2 per cell]  8 Hg 3.79-4.12, 4 Sb 3.82, 4 Cd 4.05
Cd1 0.0000 0.5000 0.7507 [2 per cell]  2 Sb 2.99, 2 Hg 3.06
Hg1 0.0000 0.0000 0.6125 [2 per cell]  1 Sb 2.94, 2 Hg 2.98, 2 Cd 3.06
Hg2 0.0000 0.5000 0.2424 [2 per cell]  2 Hg 2.98, 2 Sb 3.07
Sb1 0.0000 0.0000 0.3826 [2 per cell]  3 Hg 2.94-3.07, 2 Cd 2.99

***

VASP calculation (PBE) on an optimized crystal structure of Rb2Cd4Hg3Sb.

Values from the calculation:
Raw formation energy   -158 meV per atom

Unit cell a=5.3006 b=5.3006 c=11.3664 alpha=90.00 beta=90.00 gamma=90.00
Closest atoms and distances in Å follow each position.
Space group P-4m2 (No. 115)
Inequivalent atoms, fractional coordinates:
Rb1 0.0000 0.5000 0.2504 [2 per cell]  7 Hg 3.88-4.18, 2 Sb 3.88, 9 Cd 3.89-4.29
Cd1 0.0000 0.0000 0.0000 [1 per cell]  4 Hg 2.97
Cd2 0.0000 0.5000 0.6282 [2 per cell]  3 Hg 2.89-3.02, 2 Sb 3.02
Cd3 0.5000 0.5000 0.0000 [1 per cell]  4 Hg 2.97
Hg1 0.0000 0.5000 0.8822 [2 per cell]  5 Cd 2.89-2.97
Hg2 0.5000 0.5000 0.5000 [1 per cell]  4 Cd 3.02
Sb1 0.0000 0.0000 0.5000 [1 per cell]  4 Cd 3.02

***
____________

Entry 1:
A geometry-optimized HoEr2Mg3Ir2Pt structure, computed with PBE.

abc: 4.022 7.284 7.284
angles: 120.00 90.00 90.00
Atoms (fractional coordinates):
1 Er 0.000 0.413 0.000
2 Er 0.000 0.000 0.413
3 Ho 0.000 0.587 0.587
4 Ir 0.500 0.667 0.333
5 Ir 0.500 0.333 0.667
6 Mg 0.500 0.753 0.000
7 Mg 0.500 0.247 0.247
8 Mg 0.500 0.000 0.753
9 Pt 0.000 0.000 0.000

Properties
The space group is No. 38. Its final energy is -5.48 eV per atom.

Entry 2:
A geometry-optimized TbInTc structure, computed with PBE.

abc: 4.707 4.707 4.707
angles: 60.00 60.00 60.00
Atoms (fractional coordinates):
1 In 0.000 0.000 0.000
2 Tb 0.250 0.250 0.250
3 Tc 0.750 0.750 0.750

Properties
The space group is No. 216. Its final energy is -5.41 eV per atom.

Entry 3:
A geometry-optimized TmUBe structure, computed with PBE.

abc: 4.576 4.576 4.576
angles: 60.00 60.00 60.00
Atoms (fractional coordinates):
1 Be 0.000 0.000 0.000
2 Tm 0.250 0.250 0.250
3 U 0.750 0.750 0.750

Properties
The space group is No. 216. As for the energy above the lowest structure with this stoichiometry: 0 meV/atom.

Entry 4:
A geometry-optimized BaTbB structure, computed with PBE.

abc: 4.836 4.836 4.836
angles: 60.00 60.00 60.00
Atoms (fractional coordinates):
1 B 0.250 0.250 0.250
2 Ba 0.000 0.000 0.000
3 Tb 0.750 0.750 0.750

Properties
The space group is No. 216. As for the energy above the lowest structure with this stoichiometry: 810 meV/atom.

Please write out number 4 again, unchanged.
A geometry-optimized BaTbB structure, computed with PBE.

abc: 4.836 4.836 4.836
angles: 60.00 60.00 60.00
Atoms (fractional coordinates):
1 B 0.250 0.250 0.250
2 Ba 0.000 0.000 0.000
3 Tb 0.750 0.750 0.750

Properties
The space group is No. 216. As for the energy above the lowest structure with this stoichiometry: 810 meV/atom.

----------

VASP calculation (PBE) on an optimized crystal structure of RbCdHg2Sb.

Values from the calculation:
Energy above the most stable polymorph in this dataset   148 meV per atom
Raw formation energy   -43 meV per atom

Unit cell a=5.7759 b=5.7759 c=5.6640 alpha=90.00 beta=90.00 gamma=90.00
Closest atoms and distances in Å follow each position.
Space group P4/mmm (No. 123)
Inequivalent atoms, fractional coordinates:
Rb1 0.0000 0.0000 0.0000 [1 per cell]  8 Hg 4.04, 4 Sb 4.08
Cd1 0.5000 0.5000 0.5000 [1 per cell]  2 Sb 2.83, 4 Hg 2.89
Hg1 0.0000 0.5000 0.5000 [2 per cell]  2 Cd 2.89
Sb1 0.5000 0.5000 0.0000 [1 per cell]  2 Cd 2.83

***

VASP calculation (PBE) on an optimized crystal structure of RbCdHg2Sb.

Values from the calculation:
Energy above the most stable polymorph in this dataset   0 meV per atom
Raw formation energy   -191 meV per atom

Unit cell a=4.9422 b=4.9893 c=12.7804 alpha=90.00 beta=90.00 gamma=90.00
Closest atoms and distances in Å follow each position.
Space group Imm2 (No. 44)
Inequivalent atoms, fractional coordinates:
Rb1 0.0000 0.0000 0.0000 [2 per cell]  8 Hg 3.79-4.12, 4 Sb 3.82, 4 Cd 4.05
Cd1 0.0000 0.5000 0.7507 [2 per cell]  2 Sb 2.99, 2 Hg 3.06
Hg1 0.0000 0.0000 0.6125 [2 per cell]  1 Sb 2.94, 2 Hg 2.98, 2 Cd 3.06
Hg2 0.0000 0.5000 0.2424 [2 per cell]  2 Hg 2.98, 2 Sb 3.07
Sb1 0.0000 0.0000 0.3826 [2 per cell]  3 Hg 2.94-3.07, 2 Cd 2.99

***

VASP calculation (PBE) on an optimized crystal structure of Rb2Cd4Hg3Sb.

Values from the calculation:
Raw formation energy   -158 meV per atom

Unit cell a=5.3006 b=5.3006 c=11.3664 alpha=90.00 beta=90.00 gamma=90.00
Closest atoms and distances in Å follow each position.
Space group P-4m2 (No. 115)
Inequivalent atoms, fractional coordinates:
Rb1 0.0000 0.5000 0.2504 [2 per cell]  7 Hg 3.88-4.18, 2 Sb 3.88, 9 Cd 3.89-4.29
Cd1 0.0000 0.0000 0.0000 [1 per cell]  4 Hg 2.97
Cd2 0.0000 0.5000 0.6282 [2 per cell]  3 Hg 2.89-3.02, 2 Sb 3.02
Cd3 0.5000 0.5000 0.0000 [1 per cell]  4 Hg 2.97
Hg1 0.0000 0.5000 0.8822 [2 per cell]  5 Cd 2.89-2.97
Hg2 0.5000 0.5000 0.5000 [1 per cell]  4 Cd 3.02
Sb1 0.0000 0.0000 0.5000 [1 per cell]  4 Cd 3.02

***